Creative Writing Piece: Love Is Simple - By Taylor Foster

His worn, smudged hand tousled his scruffy, stubbly beard. The faint white and grey flecks that tickled his skin were dry and blunt. His eyes, deep yet shallow, held stories. Stories of pain and stories of joy, of loss and of redemption. Their brown and green depths were windows to the inside. Though the windows were open not many looked within. On top of his head was a mattered mass of mud-and-silver hair. Its knots were tight, coiled and looped, making his hair appear shorter than it was.
This man was perched out the front of an abandoned shop front. A large ‘For Lease’ sign striped across the glass above his tired head. His body looked limp, like a puppet on strings left on the ground, no longer held taught by the loving puppeteer. A ragged shirt clung to his shoulders. It was large and draped down around him, looking like a blanket. Once the shirt was clean, fresh and new, now it was nothing but a rag, a symbol of what he’d lost.
Materials data that have nothing to do with the page:
____________
1.
{"formula": "PrMgBi2", "functional": "PBE", "state": "relaxed", "cell": [[-3.779, -1.294, 2.330], [0.384, -2.818, 3.647], [-0.436, 4.164, 6.195]], "species": ["Bi", "Bi", "Pr", "Mg"], "fractional_positions": [[0.742, 0.742, 0.773], [0.258, 0.258, 0.227], [0.500, 0.500, 0.500], [0.000, 0.000, 0.000]], "total_energy_ev_per_cell": -15.79, "ef_ev_per_atom": -0.4133}

2.
{"formula": "PrMgBi", "functional": "PBE", "state": "relaxed", "cell": [[4.232, 0.000, 0.000], [0.000, 4.895, 0.000], [0.000, -2.448, 4.239]], "species": ["Pr", "Bi", "Mg"], "fractional_positions": [[0.667, 0.667, 0.333], [0.167, 0.333, 0.667], [0.166, 0.000, 0.000]], "total_energy_ev_per_cell": -11.67, "ef_ev_per_atom": -0.4728}

3.
{"formula": "Pr3MgBi4", "functional": "PBE", "state": "relaxed", "cell": [[6.520, 0.000, 0.000], [0.000, 6.520, 0.000], [0.000, 0.000, 6.520]], "species": ["Bi", "Bi", "Bi", "Bi", "Pr", "Pr", "Pr", "Mg"], "fractional_positions": [[0.500, 0.500, 0.500], [0.000, 0.500, 0.000], [0.500, 0.000, 0.000], [0.000, 0.000, 0.500], [0.500, 0.000, 0.500], [0.500, 0.500, 0.000], [0.000, 0.500, 0.500], [0.000, 0.000, 0.000]], "total_energy_ev_per_cell": -36.72, "ef_ev_per_atom": -0.6581}

4.
{"formula": "Pr2MgBi3", "functional": "PBE", "state": "relaxed", "cell": [[-0.127, -2.487, 6.163], [-4.745, -7.331, -3.056], [6.886, -0.104, -3.484]], "species": ["Bi", "Bi", "Bi", "Bi", "Bi", "Bi", "Mg", "Mg", "Pr", "Pr", "Pr", "Pr"], "fractional_positions": [[0.846, 0.424, 0.695], [0.151, 0.076, 0.305], [0.849, 0.924, 0.695], [0.547, 0.250, 0.000], [0.154, 0.576, 0.305], [0.453, 0.750, 0.000], [0.911, 0.750, 0.000], [0.089, 0.250, 0.000], [0.326, 0.414, 0.656], [0.670, 0.086, 0.344], [0.674, 0.586, 0.344], [0.330, 0.914, 0.656]], "total_energy_ev_per_cell": -52.33, "ef_ev_per_atom": -0.5618}

5.
{"formula": "PrMgBi2", "functional": "PBE", "state": "relaxed", "cell": [[-2.234, -0.169, 3.491], [-3.481, -0.266, -2.241], [0.525, -6.895, 0.003]], "species": ["Bi", "Bi", "Mg", "Pr"], "fractional_positions": [[0.000, 0.000, 0.244], [0.000, 0.000, 0.756], [0.500, 0.500, 0.000], [0.500, 0.500, 0.500]], "total_energy_ev_per_cell": -15.90, "ef_ev_per_atom": -0.4414}

6.
{"formula": "PrMg3Bi3", "functional": "PBE", "state": "relaxed", "cell": [[-0.865, 3.219, -3.048], [7.548, -5.017, -7.440], [-11.299, -3.135, -0.105]], "species": ["Pr", "Pr", "Mg", "Mg", "Mg", "Mg", "Mg", "Mg", "Bi", "Bi", "Bi", "Bi", "Bi", "Bi"], "fractional_positions": [[0.250, 0.667, 0.333], [0.750, 0.333, 0.667], [0.750, 0.956, 0.375], [0.250, 0.044, 0.625], [0.250, 0.374, 0.418], [0.750, 0.418, 0.043], [0.750, 0.626, 0.582], [0.250, 0.582, 0.957], [0.750, 0.870, 0.574], [0.250, 0.574, 0.704], [0.750, 0.705, 0.130], [0.250, 0.130, 0.426], [0.750, 0.426, 0.296], [0.250, 0.295, 0.870]], "total_energy_ev_per_cell": -47.08, "ef_ev_per_atom": -0.3334}
____________
This man was not alone. Around him lay his prized possessions, items that were dear to his weak heart. On his left a worn and rustic pair of sandals, an old book with fraying pages and a broken spine, and a small picture frame placed down on the pavement. To his right lay a small carboard box and an ink pen. The box read on its front ‘please help’. Inside lay a small shiny coin, precious and valuable.
He stared out, head slightly tilted left, to the road that lay in front of him. Cars whizzed past, people moving so fast they couldn’t look up. Walking in front and past him were women, children and men. Their strides carried them past him, leaving him far behind. Children’s innocent faces turned and stared; mothers moved to the opposite side of the path. Individuals started down at bright screens, never looking up. He was not noticed; he was not seen.
More and more people stumbled fast, lost in their pace, and their own lives. Work was calling, time was never on their side. One child walked past, he carried in his hand a small baby blue blanket. He clung onto his safety in one hand and his parent in the other. Once again, they were on the opposite side of the path, the father beckoning his child to keep moving. This young boy with his Spiderman shirt, and his tracksuit pants looked at the poor lonely figure on the footpath, bunched in his loneliness. In one swift movement the child broke from his father and crept toward the man.
He stood looking at him for a brief moment. The ragged man turned his eyes toward the boy and smiled. Anyone would have seen him as mad, another crazy one. But this young boy, saw a man, a vulnerable man, a man needing love. With his father running over to grab him the boy spoke in his sweet child innocence.
• Someone pasted materials data at this point:
<<<
The following is a DFT calculation (PBE with a Hubbard U) of MgFe2WO6 after structural relaxation.

Geometry as CIF:
```
data_MgFe2WO6
_chemical_formula_sum 'Mg1 Fe2 W1 O6'
_symmetry_space_group_name_H-M 'P 1'
_symmetry_Int_Tables_number 1
_symmetry_space_group_name_Hall 'P 1'
_cell_length_a 5.2656
_cell_length_b 5.2756
_cell_length_c 5.5602
_cell_angle_alpha 62.51
_cell_angle_beta 62.58
_cell_angle_gamma 60.30
loop_
_atom_site_label
_atom_site_fract_x
_atom_site_fract_y
_atom_site_fract_z
Mg1 0.0000 0.0000 0.0000
Fe1 0.2880 0.2907 0.1354
Fe2 0.7940 0.7881 0.6381
W1 0.4903 0.4985 0.5195
O1 0.1251 0.3774 0.8008
O2 0.2328 0.8548 0.3059
O3 0.3824 0.7067 0.7897
O4 0.5914 0.2416 0.3043
O5 0.7124 0.1184 0.7827
O6 0.8516 0.6057 0.3160
```

## Properties
Total energy = -6.907 eV per atom

~~~~~

Compound: CeMgPd6
Source: the Alexandria database
Functional: PBE
Structure: optimized geometry

Cell lengths 4.1205, 4.1205, 7.9157 Å; angles 90.00, 90.00, 90.00 degrees
Fractional coordinates of all 8 atoms:
Pd 0.5000 0.0000 0.2424
Pd 0.0000 0.5000 0.7576
Pd 0.5000 0.5000 0.0000
Pd 0.0000 0.5000 0.2424
Pd 0.5000 0.0000 0.7576
Pd 0.5000 0.5000 0.5000
Ce 0.0000 0.0000 0.5000
Mg 0.0000 0.0000 0.0000

Output
Crystal system: tetragonal
Energy of formation in eV per atom: -0.6749
Total DFT energy (no corrections) in eV/f.u.: -44.1

~~~~~

Entry from the Alexandria database: crystalline Pm2Y3HoSe6 at its relaxed geometry (PBE-GGA).

Summary:
The value obtained for the energy relative to the elements, uncorrected is -1781.7 meV per atom. As for the magnetic moment: 0.000 μB per atom.

abc: 17.9403 4.1008 8.2839
angles: 90.00 103.36 90.00
Space group C2/m (No. 12)
Unique sites:
Pm 0.1686 0.0000 0.3362 (multiplicity 4)
Y 0.0000 0.5000 0.5000 (multiplicity 2)
Y 0.1701 0.0000 0.8330 (multiplicity 4)
Ho 0.0000 0.5000 0.0000 (multiplicity 2)
Se 0.0029 0.0000 0.7541 (multiplicity 4)
Se 0.1634 0.5000 0.5887 (multiplicity 4)
Se 0.1642 0.5000 0.0751 (multiplicity 4)

=====

Entry from the Alexandria database: crystalline Ca2FeBr at its relaxed geometry (PBE-GGA).

Summary:
The value obtained for the energy relative to the elements, uncorrected is -14.4 meV per atom. As for the magnetic moment: 0.647 μB per atom. For the distance to the lowest polymorph of the same formula, the calculation gives 312 meV per atom.

abc: 3.9984 6.2719 9.1781
angles: 90.00 90.00 90.00
Space group Immm (No. 71)
Unique sites:
Ca 0.0000 0.0000 0.2404 (multiplicity 4)
Fe 0.0000 0.5000 0.0000 (multiplicity 2)
Br 0.0000 0.5000 0.5000 (multiplicity 2)

=====

Entry from the Alexandria database: crystalline La4Bi2SbP at its relaxed geometry (PBE-GGA).

Summary:
The value obtained for the energy relative to the elements, uncorrected is -1203.3 meV per atom. As for the magnetic moment: 0.000 μB per atom.

abc: 7.9293 4.5623 7.9565
angles: 90.00 109.25 90.00
Space group P2/m (No. 10)
Unique sites:
La 0.2336 0.0000 0.2304 (multiplicity 2)
La 0.2433 0.5000 0.7630 (multiplicity 2)
>>>
• The article goes on:
“Hi.” The man’s head now turned toward the boy and his shallow eyes turned soft and gentle. “I’m Toby, what’s your name?” The man gently whispered, “Marcus.”
“Hello, Marcus. Can I be your friend?” With these simple words the man broke. He wept on the ground, soft droplets fell from his tired eyes. They carried the weight of the world, and splashed and broke onto the pavement, breaking down some long held hurt. “Yes… yes of course you can,” the man said between tears and breaths.
-- Records of crystals, kept here for reference --
CaDyCo4O12 | PBE with a Hubbard U | relaxed

Computed properties:
spin magnetization = 0.799 μB/atom
energy = -5.83 eV/atom
N(E_F) = 9.57 states/eV/cell

a b c (Å): 7.4308 5.2563 5.2563
angles (deg): 89.52 90.00 90.00
With the nearest neighbours (Å) after each atom.
Fractional coordinates of all 18 atoms:
Ca  0.0000  0.0000  0.0000  10 O 2.50-2.74
Dy  0.5000  0.4543  0.4543  6 O 2.27-2.51
Co  0.2469  0.4854  0.9722  6 O 1.85-1.92
Co  0.2469  0.9722  0.4854  6 O 1.85-1.92
Co  0.7531  0.4854  0.9722  6 O 1.85-1.92
Co  0.7531  0.9722  0.4854  6 O 1.85-1.92
O  0.0000  0.5180  0.9438  2 Co 1.85
O  0.0000  0.9438  0.5180  2 Co 1.85
O  0.2270  0.2561  0.2561  2 Co 1.92
O  0.2505  0.2016  0.7525  2 Co 1.86-1.89
O  0.2505  0.7525  0.2016  2 Co 1.86-1.89
O  0.2939  0.6850  0.6850  2 Co 1.86
O  0.5000  0.0216  0.4568  2 Co 1.90
O  0.5000  0.4568  0.0216  2 Co 1.90
O  0.7061  0.6850  0.6850  2 Co 1.86
O  0.7495  0.2016  0.7525  2 Co 1.86-1.89
O  0.7495  0.7525  0.2016  2 Co 1.86-1.89
O  0.7730  0.2561  0.2561  2 Co 1.92

* * * * *

(1)
Below is a relaxed Ba7As4O crystal, with properties calculated at the PBE level.

abc: 9.089 9.089 12.147
angles: 126.19 126.19 35.36
Positions (direct):
Ba1 0.000 0.000 0.000
Ba2 0.140 0.140 0.532
Ba3 0.290 0.290 0.145
Ba4 0.429 0.429 0.750
Ba5 0.571 0.571 0.250
Ba6 0.710 0.710 0.855
Ba7 0.860 0.860 0.468
As1 0.082 0.082 0.788
As2 0.224 0.224 0.339
As3 0.776 0.776 0.661
As4 0.918 0.918 0.212
O1 0.500 0.500 0.000

## Properties
The formation energy from raw total energies comes out at -29.199 kcal/mol of atoms. Its symmetry is C2/m (12).

---

(2)
Below is a relaxed HoAlPd14 crystal, with properties calculated at the PBE level.

abc: 5.680 5.680 7.841
angles: 90.00 90.00 90.00
Positions (direct):
Ho1 0.000 0.000 0.000
Al1 0.500 0.500 0.000
Pd1 0.000 0.000 0.500
Pd2 0.000 0.500 0.000
Pd3 0.000 0.500 0.500
Pd4 0.255 0.255 0.249
Pd5 0.255 0.255 0.751
Pd6 0.255 0.745 0.249
Pd7 0.255 0.745 0.751
Pd8 0.500 0.000 0.000
Pd9 0.500 0.000 0.500
Pd10 0.500 0.500 0.500
Pd11 0.745 0.255 0.249
Pd12 0.745 0.255 0.751
Pd13 0.745 0.745 0.249
Pd14 0.745 0.745 0.751

## Properties
As for the density of states at the Fermi level: 1.62 states/eV per atom. Its energy of formation from the pure elements is -0.351 eV per atom. Its symmetry is P4/mmm (123).

* * * * *

Entry 1:
Compound: Sn3HPd
Source: Alexandria via LeMat-Bulk
Functional: PBE
Structure: relaxed

Cell: 5.1914 5.1914 5.1914 Å, 90.00 90.00 90.00°
Closest atoms and distances in Å follow each position.
Positions (direct):
Pd1 0.0000 0.0000 0.0000  6 Sn 2.60
Sn1 0.0000 0.0000 0.5000  2 Pd 2.60
Sn2 0.0000 0.5000 0.0000  2 Pd 2.60
Sn3 0.5000 0.0000 0.0000  2 Pd 2.60
H1 0.5000 0.5000 0.5000  12 Sn 3.67

## Properties
Distance to the lowest polymorph of the same formula in meV per atom: 326
N(E_F) in states/eV per cell: 3.2
Space group: Pm-3m (221)

Entry 2:
Compound: SnH5Pd4
Source: Alexandria via LeMat-Bulk
Functional: PBE
Structure: relaxed

Cell: 4.6392 5.5798 8.2304 Å, 90.00 90.00 90.00°
Suddenly the boy’s father was there, snatching the young spirit away. The father stole one look at the man, and his eyes held pity but also shame and fear. Tugging at the boy’s hand he led the child away. As he was pulled the boy turned and waved his blanket in goodbye.
The man hunched on the road sat and started after the boy for many hours thinking of his care. For days and weeks after, the father and his boy would walk their commute to daycare. Each time the boy would come past and run up to his friend and tell him some piece of news or give him a gift of a story book. The visits got longer as his father let him stay, until one day, the young boy gave the man his much-loved blanket. The man draped the blanket over his lap and felt its warmth and the love of a boy who saw more than what his eyes saw.